Activity:
The reader should filter the material underneath: keep the lines with the word "ZnCoO2".

Entries:
+++
# 1
Computed, not measured: an optimized crystal structure of ZnCoO2 at the PBE with a Hubbard U level of DFT.

a b c (Å): 2.9597 8.0784 8.3567
angles (deg): 88.75 81.20 82.29
Last column: nearest neighbours and their distance in Å.
Fractional positions:
Zn  0.1077  0.0857  0.2499  5 O 2.05-2.27
Zn  0.3219  0.2635  0.5972  3 O 1.88-2.10
Zn  0.6781  0.7365  0.4028  3 O 1.88-2.10
Zn  0.8923  0.9143  0.7501  5 O 2.05-2.27
Co  0.1346  0.5850  0.7374  4 O 2.02-2.07
Co  0.3463  0.7634  0.0837  3 O 1.91-2.13
Co  0.6537  0.2366  0.9163  3 O 1.91-2.13
Co  0.8654  0.4150  0.2626  4 O 2.02-2.07
O  0.1021  0.2628  0.0706  3 Co 1.91-2.02, 1 Zn 2.05
O  0.2885  0.5945  0.2827  3 Co 2.06-2.13, 2 Zn 2.10-2.13
O  0.3159  0.0923  0.7706  3 Zn 1.98-2.07, 1 Co 2.14
O  0.4572  0.2427  0.3703  2 Zn 1.88-2.10, 1 Co 2.07
O  0.5428  0.7573  0.6297  2 Zn 1.88-2.10, 1 Co 2.07
O  0.6841  0.9077  0.2294  3 Zn 1.98-2.07, 1 Co 2.14
O  0.7115  0.4055  0.7173  3 Co 2.06-2.13, 2 Zn 2.10-2.13
O  0.8979  0.7372  0.9294  3 Co 1.91-2.02, 1 Zn 2.05

Results
The formation enthalpy at 0 K is -1.365 eV per atom. As for the magnetization: 0.75 μB/atom. The calculation puts the MP2020-corrected energy at -5.93 eV per atom. As for the space group: P-1 (2). As for the total DFT energy (no corrections): -5.18 eV/atom.



# 2
Computed, not measured: an optimized crystal structure of ZnCoO2 at the PBE with a Hubbard U level of DFT.

a b c (Å): 2.8881 8.2490 8.5923
angles (deg): 82.19 80.91 80.12
Last column: nearest neighbours and their distance in Å.
Fractional positions:
Zn  0.0811  0.1276  0.2155  4 O 1.97-2.01
Zn  0.3548  0.2359  0.5740  5 O 2.06-2.18
Zn  0.6452  0.7641  0.4260  5 O 2.06-2.18
Zn  0.9189  0.8724  0.7845  4 O 1.97-2.01
Co  0.2072  0.1939  0.8872  4 O 2.00-2.18
Co  0.3705  0.4449  0.3120  4 O 1.87-2.03
Co  0.6295  0.5551  0.6880  4 O 1.87-2.03
Co  0.7928  0.8061  0.1128  4 O 2.00-2.18
O  0.0712  0.7178  0.6161  2 Co 1.98-2.03, 3 Zn 2.01-2.18
O  0.1538  0.8888  0.2856  3 Zn 1.97-2.07, 1 Co 2.18
O  0.1835  0.4101  0.7373  3 Co 1.87-2.05, 1 Zn 2.09
O  0.3684  0.8219  0.9463  2 Zn 2.00, 2 Co 2.00-2.02
O  0.6316  0.1781  0.0537  2 Zn 2.00, 2 Co 2.00-2.02
O  0.8165  0.5899  0.2627  3 Co 1.87-2.05, 1 Zn 2.09
O  0.8462  0.1112  0.7144  3 Zn 1.97-2.07, 1 Co 2.18
O  0.9288  0.2822  0.3839  2 Co 1.98-2.03, 3 Zn 2.01-2.18

Results
The formation enthalpy at 0 K is -1.283 eV per atom. As for the magnetization: 0.50 μB/atom. The calculation puts the MP2020-corrected energy at -5.85 eV per atom. As for the space group: P-1 (2). As for the total DFT energy (no corrections): -5.10 eV/atom.



# 3
Computed, not measured: an optimized crystal structure of ZnCo5O7 at the PBE with a Hubbard U level of DFT.

a b c (Å): 5.0751 5.0751 17.3029
angles (deg): 90.00 90.00 146.69
Last column: nearest neighbours and their distance in Å.
Fractional positions:
Zn  0.1913  0.8087  0.7500  2 O 2.05
Zn  0.8087  0.1913  0.2500  2 O 2.05
Co  0.0000  0.0000  0.0000  6 O 2.09-2.10
Co  0.0000  0.0000  0.5000  6 O 2.09-2.10
Co  0.2828  0.7172  0.0772  6 O 1.97-2.19
Co  0.2828  0.7172  0.4228  6 O 1.97-2.19
Co  0.4483  0.5517  0.6518  6 O 1.93-2.09
Co  0.4483  0.5517  0.8482  6 O 1.93-2.09
Co  0.5517  0.4483  0.1518  6 O 1.93-2.09
Co  0.5517  0.4483  0.3482  6 O 1.93-2.09
Co  0.7172  0.2828  0.5772  6 O 1.97-2.19
Co  0.7172  0.2828  0.9228  6 O 1.97-2.19
O  0.0702  0.9298  0.6139  5 Co 1.99-2.14
O  0.0702  0.9298  0.8861  5 Co 1.99-2.14
O  0.1780  0.8220  0.1745  3 Co 1.94-1.97
O  0.1780  0.8220  0.3255  3 Co 1.94-1.97
O  0.3618  0.6382  0.5411  6 Co 2.09-2.19
O  0.3618  0.6382  0.9589  6 Co 2.09-2.19
O  0.4579  0.5421  0.2500  2 Co 1.93, 2 Zn 2.05
O  0.5421  0.4579  0.7500  2 Co 1.93, 2 Zn 2.05
O  0.6382  0.3618  0.0411  6 Co 2.09-2.19
O  0.6382  0.3618  0.4589  6 Co 2.09-2.19
O  0.8220  0.1780  0.6745  3 Co 1.94-1.97
O  0.8220  0.1780  0.8255  3 Co 1.94-1.97
O  0.9298  0.0702  0.1139  5 Co 1.99-2.14
O  0.9298  0.0702  0.3861  5 Co 1.99-2.14

Results
+++

Response:
Computed, not measured: an optimized crystal structure of ZnCoO2 at the PBE with a Hubbard U level of DFT.
Computed, not measured: an optimized crystal structure of ZnCoO2 at the PBE with a Hubbard U level of DFT.